Escudo de la República de Colombia Escudo de la República de Colombia
/Air cleaned with low-cost metals

Air cleaned with low-cost metals

  • Prolonged contact with this type of emissions can cause issues linked to fetal deformations.

  • As air pollution levels fall also will the cardiovascular and respiratory health of the population.

  • In 2014, 92% of the population lived in places where the WHO air quality guidelines were not followed.

  • According to 2012 figures, air pollution produces three million premature deaths a year.

  • 88% of premature deaths for air contamination are produced in countries with low and medium level incomes.

A new procedure which uses hydrotalcite, a chemical compound comprised especially of magnesium and aluminum helps decontaminate air loaded with organic volatile compounds (OVC).

Highly toxic waste products in the air as those produced by printing houses or paint manufacturers could be eliminated with this innovative method.

"The idea behind the project is for contaminating industries to become interested in these types of developments, as they are more efficient and economical than the methods they currently use," said Sonia Moreno Guáqueta, Université Catholique de Louvain Applied Natural Science Ph.D. and part of the Universidad Nacional de Colombia (UNal) Solid State and Environmental Catalysis Research Group (ESCA, for its Spanish acronym.)

The process uses low-cost metals as opposed to those which use platinum and gold usually used in developed countries. Therefore this is a great technological advancement.

Hydrotalcites or laminated materials turn into catalyzers capable of increasing chemical reaction speeds due to the presence of different elements such as copper, manganese, and cobalt which help transform volatile compounds which contaminate the air.

After subjecting them to temperatures between 400° C and 500°  C (752° F and 932° F) these structures end up burning and producing mixed oxides.

OVCs in the air include aromatic and alcoholic compounds as well as esters with high carcinogenic potential which inclusively may cause the death to people which habitually inhale it.

"The concept is to use these mixed oxides to transform compounds which are in the air into less toxic elements such as carbon dioxide and water," said Moreno.

# Crystal structures that have nothing to do with the piece
<<<
Crystalline NaCePCO7 at its relaxed geometry. Source: the Materials Project database, functional PBE.

Magnetic moment   0.00 μB/cell
DFT formation energy   -2.735 eV/atom
VASP energy   -81.81 eV per formula unit
Space-group type   P2_1 (4)

```
NaCePCO7
1.0
5.4613 0.0000 0.0000
0.0000 7.0438 0.0000
-0.3282 0.0000 9.6236
Na Ce P C O
2 2 2 2 14
Direct
0.2400 0.0000 0.2913
0.7600 0.5000 0.7087
0.2182 0.2106 0.8462
0.7818 0.7106 0.1538
0.2798 0.7163 0.9253
0.7202 0.2163 0.0747
0.2768 0.2467 0.5670
0.7232 0.7467 0.4330
0.0586 0.2476 0.6253
0.1680 0.7362 0.0720
0.1759 0.5381 0.8507
0.2183 0.8942 0.8371
0.3089 0.2245 0.4421
0.4369 0.1963 0.0515
0.4595 0.2651 0.6627
0.5405 0.7651 0.3372
0.5631 0.6963 0.9485
0.6911 0.7245 0.5579
0.7817 0.3942 0.1629
0.8241 0.0381 0.1493
0.8320 0.2362 0.9280
0.9414 0.7476 0.3747
```
>>>

According to the Moreno, oxides from hydrotalcites are sent into a chemical reactor where contaminated media is already present so they air is then decontaminated.

"Acting as a catalyzer, the mixed oxide carries out oxide-reduction reactions turning very toxic volatile compounds into CO2 and water," said Moreno.

Although hydrotalcite is a powder, from the atomic standpoint it has a series of metal nanoparticles which are of interest.

____________
Record 1
This record from the Materials Project database describes a relaxed structure of MgNiP2O7. The functional is PBE with a Hubbard U.

Output
Relative energy among the computed polymorphs   132 meV/atom

Unit cell a=5.0465 b=5.5425 c=5.6806 alpha=73.91 beta=70.59 gamma=84.19
With the nearest neighbours (Å) after each atom.
Positions (direct):
Mg: 0.0000 0.0000 0.0000  5 O 1.96-2.19
Ni: 0.8137 0.8780 0.6000  5 O 1.96-2.17
P: 0.3084 0.5090 0.7897  4 O 1.51-1.66
P: 0.4518 0.1029 0.1576  4 O 1.52-1.61
O: 0.0894 0.7243 0.8296  1 P 1.55
O: 0.1803 0.9474 0.2821  1 P 1.54
O: 0.1848 0.2987 0.7381  1 P 1.51
O: 0.3538 0.3914 0.0769  2 P 1.61-1.66
O: 0.5973 0.5991 0.6075  1 P 1.52
O: 0.6321 0.0221 0.9114  1 P 1.55
O: 0.6496 0.0920 0.3130  1 P 1.52

***

Record 2
This record from the Materials Project database describes a relaxed structure of Co3O2F4. The functional is PBE with a Hubbard U.

Output
Relative energy among the computed polymorphs   63 meV/atom

Unit cell a=4.6356 b=4.6399 c=9.3306 alpha=89.08 beta=89.61 gamma=89.83
With the nearest neighbours (Å) after each atom.
Positions (direct):
Co: 0.0000 0.0000 0.0000  2 O 1.97-2.00, 4 F 2.06-2.12
Co: 0.0274 0.0242 0.6674  2 O 1.97-2.02, 4 F 2.02-2.11
Co: 0.0606 0.0566 0.3434  2 O 1.88-1.91, 3 F 1.98-2.07
Co: 0.4844 0.5604 0.4959  2 O 1.81-1.95, 1 F 2.02
Co: 0.5368 0.5342 0.1696  2 O 1.79-1.96, 1 F 2.00
Co: 0.5634 0.4917 0.8458  2 O 1.78-1.98
O: 0.2305 0.8566 0.5029  3 Co 1.81-1.97
O: 0.3401 0.3481 0.3324  3 Co 1.88-1.96
O: 0.7098 0.6929 0.0160  3 Co 1.79-1.98
O: 0.8212 0.2084 0.8341  1 Co 1.78
F: 0.2192 0.8265 0.1722  3 Co 2.00-2.07
F: 0.2411 0.7994 0.8346  3 Co 2.07-2.12
F: 0.3215 0.3065 0.0079  3 Co 2.06-2.11
F: 0.3248 0.3428 0.6676  3 Co 2.02-2.13
F: 0.7200 0.7176 0.6675  3 Co 2.02-2.09
F: 0.7369 0.7515 0.3396  3 Co 2.06-2.11
F: 0.8143 0.2587 0.5060  3 Co 2.07-2.12
F: 0.8409 0.2182 0.1792  3 Co 1.98-2.10

***

Record 3
This record from the Materials Project database describes a relaxed structure of MgFeAgO2. The functional is PBE with a Hubbard U.

Output
Relative energy among the computed polymorphs   15 meV/atom

Unit cell a=3.3033 b=3.3033 c=8.7867 alpha=100.05 beta=100.05 gamma=59.73
With the nearest neighbours (Å) after each atom.
Positions (direct):
Mg: 0.0000 0.0000 0.0000  3 O 1.90-1.91
Fe: 0.8395 0.8395 0.6091  3 O 1.94
Ag: 0.4208 0.4208 0.3101  1 O 2.57
O: 0.3355 0.3355 0.0110  3 Mg 1.90-1.91
O: 0.5200 0.5200 0.6505  3 Fe 1.94

***

Record 4
This record from the Materials Project database describes a relaxed structure of Y3VH3O8. The functional is PBE with a Hubbard U.

Output
VASP energy   -229.4 eV for the cell shown

Unit cell a=5.6095 b=10.4307 c=5.9840 alpha=90.00 beta=105.06 gamma=90.00
With the nearest neighbours (Å) after each atom.
Positions (direct):
Y: 0.1850 0.0402 0.3056  7 O 2.24-2.49
Y: 0.1850 0.4598 0.3056  7 O 2.24-2.49
Y: 0.2672 0.2500 0.7987  8 O 2.37-2.53
Y: 0.7328 0.7500 0.2013  8 O 2.37-2.53
Y: 0.8150 0.5402 0.6944  7 O 2.24-2.49
____________

The procedure has been assessed in laboratory conditions with micro-reactors and with 200 milligrams of catalyzer so it can be in contact with a continuous inflow of air to provide the transformation, although at an industrial scale the amounts would be significantly larger as well as the reactors.

Although it is difficult to convince the industrial sector of the importance of applying these types of methods, only once regulations are stronger, more likely they will begin to have greater awareness on the need to reduce toxic waste into the air.